Publications and Submissions
RDA Far North Annual Report 2023/2024
Regional Development Australia Far North continued to work closely with our key stakeholders throughout the 2023/24 financial year to progress the key priorities for our region.

RDA Far North Annual Report 2022 2023
During the year, far north South Australia continued to experience significant growth. RDA Far North key focus areas in support of the region's growth and future sustainability throughout the 2022/2023 financial year.
The 2022/23 Annual Report details our activities for the year.
RDA Far North Annual Report 2021 2022
Throughout the 2021/22 financial year, RDA Far North worked closely with key stakeholders to identify challenges and opportunities across the region. Together we developed strategies to improve the region's growth and future sustainability.
The 2021/22 Annual Report details our activities for the year.
Regional Development Australia's (RDA) eight South Australian branches have collaborated to product this go to reference document for the recovery and growth of regional South Australia. The Blueprint provides an overview of regional South Australia and a snapshot of every region, detailing strategic industries/sectors, themes for growth and key statistics. Underpinning the Blueprint is a fully scoped investment pipeline from conceptual through to shovel ready projects. This pipeline is understandably highly confidential providing details of many projects that are still negotiating MOU's or investment inputs. The Blueprint demonstrates complete collaboration across every RDA within the State as they seek to deliver both within and across the eight regions for the best possible outcomes for South Australia.
The Kati-Thanda Lake Eyre Flood Tourism Management Plan provides a strategic, informed, and coordinated set of recommended initiatives to plan for and manage the impacts of visitation to the Outback as a result of flooding events.
DFT (SCAN) results for a PBEsol-optimized structure of ScP2Br.

```
ScP2Br
1.0
-1.409 -2.900 -0.613
3.900 -2.269 1.772
-3.312 0.886 3.426
P Br Sc
2 1 1
Direct
0.000 0.000 0.500
0.000 0.500 0.000
0.500 0.500 0.500
0.500 0.000 0.000
```

calculated total energy: -13.60 eV/atom
E_form (uncorrected): 0.025 eV/atom
magnetization: 0.0000 μB/atom
_The materials data stop here_
Taking a longer-term strategic planning and implementation approach to addressing infrastructure and services pressure points in the area will provide local communities and the region with a greater capacity to accommodate visitation uplifts generated by water events as the catalyst for sustained growth in visitation to the Outback over the long-term.
The Kati-Thanda Lake Eyre Economic Analysis an economic analysis of the impacts and opportunities of water events at Kati Thanda Lake Eyre and future events (wet and dry) with a view to getting a more defined response to capitalising on those impacts and opportunities in the future. It provides data to inform a better understanding of the current and potential future economic value of the lake. It identifies opportunities for capturing that increased future value as well as infrastructure pressure points, which will need to be addressed in order to ensure that opportunities for economic development resulting from visitation can be capitalised upon for the benefit of the local communities and the wider Outback region.
This report presents the findings of a study commissioned by Regional Development Australia Far North (RDAFN) to consider and assess the potential economic impacts of regionalisation (also referred to as decentralisation) of government services to the Far North Region of South Australia. The analysis is informed by an overview of current thinking / arguments for regionalisation in Australia, some assumptions about what quantum of government departments might potentially re-locate to the Far North Region from Adelaide and elsewhere and economic modelling of the potential impacts.
These calculated crystals were left in the article by mistake =
........
# 1
ZrReCl: optimized geometry, PBE.

Computed properties:
DOS(E_F) ... 4.48 states/eV per cell
ΔE_f (raw) ... 0.919 eV per atom
Energy ... -20.09 eV per cell

Unit cell a=4.402 b=4.402 c=4.402 alpha=60.00 beta=60.00 gamma=60.00
Fractional coordinates of all 3 atoms:
Cl (0.500, 0.500, 0.500)
Re (0.750, 0.750, 0.750)
Zr (0.000, 0.000, 0.000)



# 2
FeHg2Pd2: optimized geometry, PBE.

Computed properties:
DOS(E_F) ... 9.41 states/eV per cell
Energy ... -37.67 eV per cell

Unit cell a=6.648 b=6.648 c=4.170 alpha=90.00 beta=90.00 gamma=90.00
Last column: magnetic moment on the atom in μB.
Fractional coordinates of all 10 atoms:
Hg (0.165, 0.665, 0.500)  -0.01
Hg (0.665, 0.835, 0.500)  -0.01
Hg (0.835, 0.335, 0.500)  -0.01
Hg (0.335, 0.165, 0.500)  -0.01
Pd (0.356, 0.856, 0.000)  0.12
Pd (0.856, 0.644, 0.000)  0.12
Pd (0.644, 0.144, 0.000)  0.12
Pd (0.144, 0.356, 0.000)  0.12
Fe (0.000, 0.000, 0.000)  3.17
Fe (0.500, 0.500, 0.000)  3.17



# 3
Pu2PaIn: optimized geometry, PBE.

Computed properties:
DOS(E_F) ... 10.16 states/eV per cell
Energy ... -40.86 eV per cell

Unit cell a=4.729 b=4.628 c=4.628 alpha=90.00 beta=90.00 gamma=90.00
Last column: magnetic moment on the atom in μB.
Fractional coordinates of all 4 atoms:
Pa (0.500, 0.500, 0.500)  0.76
In (0.500, 0.000, 0.000)  -0.05
Pu (0.000, 0.000, 0.500)  5.33
Pu (0.000, 0.500, 0.000)  5.33



# 4
AlTlVPd2: optimized geometry, PBE.

Computed properties:
DOS(E_F) ... 5.80 states/eV per cell
Energy ... -21.75 eV per cell

Unit cell a=4.531 b=5.078 c=4.531 alpha=90.00 beta=90.00 gamma=90.00
Last column: magnetic moment on the atom in μB.
Fractional coordinates of all 5 atoms:
Tl (0.000, 0.500, 0.000)  0.01
Al (0.000, 0.000, 0.000)  0.00
Pd (0.000, 0.000, 0.500)  0.02
Pd (0.500, 0.000, 0.000)  0.00
V (0.500, 0.500, 0.500)  -0.15



# 5
HfBePt: optimized geometry, PBE.

Computed properties:
DOS(E_F) ... 6.35 states/eV per cell
Energy ... -89.37 eV per cell

Unit cell a=3.854 b=7.375 c=6.300 alpha=90.00 beta=90.00 gamma=90.00
Fractional coordinates of all 12 atoms:
Hf (0.250, 0.810, 0.479)
Hf (0.750, 0.310, 0.021)
Hf (0.250, 0.690, 0.979)
Hf (0.750, 0.190, 0.521)
Be (0.750, 0.614, 0.288)
Be (0.750, 0.886, 0.788)
Be (0.250, 0.114, 0.212)
Be (0.250, 0.386, 0.712)
Pt (0.750, 0.933, 0.168)
Pt (0.750, 0.567, 0.668)
Pt (0.250, 0.067, 0.832)
Pt (0.250, 0.433, 0.332)



# 6
Cd2FeRuW: optimized geometry, PBE.

Computed properties:
DOS(E_F) ... 5.33 states/eV per cell
Energy ... -25.29 eV per cell

Unit cell a=4.777 b=4.353 c=4.777 alpha=90.00 beta=90.00 gamma=90.00
Last column: magnetic moment on the atom in μB.
Fractional coordinates of all 5 atoms:
Ru (0.500, 0.500, 0.500)  1.50
Fe (0.000, 0.000, 0.000)  0.90
W (0.000, 0.500, 0.000)  -0.13
Cd (0.000, 0.000, 0.500)  0.01
Cd (0.500, 0.000, 0.000)  -0.01

----------

4
........
So much for the calculated crystals =
RDA Far North Annual Report 2020-2021
Working closely with key stakeholders, Regional Development Australia (RDA) Far North identified a number of challenges and opportunities across the region. We developed strategies to focus on areas that had the most impact on the region’s growth and future sustainability. Private investment, tourism, unlocking transport and access solutions, collaboration, connectivity, population, and decentralisation were identified as key priorities. There were some very positive outcomes for the region during the 2020/21 financial year, with several major projects working their way through the investment pipeline. The pipeline of large investment projects across the region totalled $6.5 billion. These investments will create 4,250 employment opportunities in construction and 460 ongoing jobs.
(Misplaced materials data)
~~~
{
  "formula": "YCuN2F",
  "functional": "PBE",
  "state": "optimized geometry",
  "lattice": [[-3.7720, 0.0530, -0.2963], [0.2769, -0.8480, -3.6773], [-0.1246, -3.8996, 0.8899]],
  "species": ["N", "N", "Cu", "Y", "F"],
  "fractional_positions": [[0.5000, 0.0000, 0.0000], [0.0000, 0.5000, 0.0000], [0.0000, 0.0000, 0.0000], [0.5000, 0.5000, 0.5000], [0.0000, 0.0000, 0.5000]],
  "crystal_system": "tetragonal",
  "n_ef_per_ev_fu": 3.94,
  "e_form_raw_ev_per_atom": -0.4898,
  "vol_a3_per_atom": 11.46,
  "total_magnetization_mub_per_atom": 0.00
}

----------

PBE-GGA La12Pd3C5, optimized geometry; volume = 2190.6 Å³ per cell; energy relative to the elements = -0.170 eV per atom; electronic total energy = -6.211 eV/atom; total moment = 0.0 Bohr magnetons per cell
1.0
-8.182 8.182 8.182
8.182 -8.182 8.182
8.182 8.182 -8.182
La Pd C
48 12 20
Direct
0.024 0.204 0.120
0.024 0.320 0.905
0.084 0.704 0.680
0.084 0.880 0.405
0.095 0.620 0.416
0.095 0.976 0.680
0.120 0.024 0.204
0.120 0.595 0.916
0.180 0.204 0.584
0.180 0.476 0.595
0.204 0.120 0.024
0.204 0.584 0.180
0.296 0.320 0.916
0.296 0.476 0.380
0.320 0.905 0.024
0.320 0.916 0.296
0.380 0.296 0.476
0.380 0.584 0.905
0.405 0.084 0.880
0.405 0.820 0.524
0.416 0.095 0.620
0.416 0.820 0.796
0.476 0.380 0.296
0.476 0.595 0.180
0.524 0.405 0.820
0.524 0.620 0.704
0.584 0.180 0.204
0.584 0.905 0.380
0.595 0.180 0.476
0.595 0.916 0.120
0.620 0.416 0.095
0.620 0.704 0.524
0.680 0.084 0.704
0.680 0.095 0.976
0.704 0.524 0.620
0.704 0.680 0.084
0.796 0.416 0.820
0.796 0.880 0.976
0.820 0.524 0.405
0.820 0.796 0.416
0.880 0.405 0.084
0.880 0.976 0.796
0.905 0.024 0.320
0.905 0.380 0.584
0.916 0.120 0.595
0.916 0.296 0.320
0.976 0.680 0.095
0.976 0.796 0.880
0.125 0.250 0.375
0.125 0.375 0.750
0.250 0.375 0.125
0.250 0.875 0.625
0.375 0.125 0.250
0.375 0.750 0.125
0.625 0.250 0.875
0.625 0.875 0.750
0.750 0.125 0.375
0.750 0.625 0.875
0.875 0.625 0.250
0.875 0.750 0.625
0.000 0.000 0.000
0.000 0.000 0.500
0.000 0.500 0.000
0.000 0.500 0.500
0.125 0.750 0.875
0.125 0.875 0.250
0.250 0.125 0.875
0.250 0.625 0.375
0.375 0.250 0.625
0.375 0.625 0.750
0.500 0.000 0.000
0.500 0.000 0.500
0.500 0.500 0.000
0.500 0.500 0.500
0.625 0.375 0.250
0.625 0.750 0.375
0.750 0.375 0.625
0.750 0.875 0.125
0.875 0.125 0.750
0.875 0.250 0.125
~~~
The Regional Blueprint
Regional Development Australia's (RDA) eight South Australian branches have collaborated to product this go to reference document for the recovery and growth of regional South Australia. The Blueprint provides an overview of regional South Australia and a snapshot of every region, detailing strategic industries/sectors, themes for growth and key statistics. Underpinning the Blueprint is a fully scoped investment pipeline from conceptual through to shovel ready projects. This pipeline is understandably highly confidential providing details of many projects that are still negotiating MOU's or investment inputs. The Blueprint demonstrates complete collaboration across every RDA within the State as they seek to deliver both within and across the eight regions for the best possible outcomes for South Australia.
Multispecies Livestock Transhipping Hub: Improving safety, efficiency and profitability in the Australian Livestock Industry
RDA Far North and the Outback Communities Authority have jointly launched the Multispecies Livestock Transhipping Hub: Improving safety, efficiency and profitability for the Australian Livestock Industry report.
Far North and Outback SA Climate Change Adaptation Plan
RDAFN, Outback Communtities Authority and the South Australian Arid Lands Natural Resource Management Board presents this Far North and Outback SA Climate Change Adaptation Plan.
This plan was developed with input form key decision-makers in the many complex and diverse sectors that make up our Region. While it provides the basis for more targeted work by key sectors, it also signals that there are actions we can begin working on together, whether in relation to infrastructure, labour and skills, business development, communication or environment and land management.
Parliamentary Submissions
RDA Far North prepared submissions into Parliamentary and Senate Committee Inquiries that are relevant to the Far North region to ensure our voice is heard. Below is a copy of the submissions that RDA Far North has participated in.